Excerpt
Entry 1:
Below is a structure of composition C4H8N2O in a non-equilibrium geometry, with properties calculated with wB97M-V/def2-TZVPD.

Results
Kohn-Sham gap   7.6 eV
Highest occupied orbital energy   -7.326 eV
Molar mass   100.121 Da
Energy above the lowest of the compared OMol25 structures with the same formula, charge and spin   4.282 eV
LUMO   0.31 eV
Largest force on an atom   0.028 Eh/bohr

Atoms and positions in Å:
C 1.688177 0.039271 0.567805
C 0.873087 -0.498755 -0.584163
O 0.152781 -1.722284 -0.219797
C -1.031515 -0.987180 -0.213903
N -2.148687 -1.229130 0.348133
C -0.453113 0.140440 -0.884683
N -0.926253 1.441448 -0.269556
H 1.051262 0.204187 1.445694
H 2.162387 0.990628 0.290367
H 2.477232 -0.664987 0.841234
H 1.496115 -0.685693 -1.467384
H -2.127499 -2.138964 0.808220
H -1.549418 1.545681 -1.063303
H -1.413288 1.356120 0.644052
H -0.251273 2.209216 -0.242713

Forces on atoms 1 to 2 (eV/Å):
0.01 0.02 0.09
0.50 -0.01 -0.03

---

Entry 2:
Below is an isolated molecule of C3H2N4O in a non-equilibrium geometry, with properties calculated with wB97M-V/def2-TZVPD.

Results
Kohn-Sham gap   8.9 eV
Highest occupied orbital energy   -10.159 eV
Molar mass   110.076 Da
Energy above the lowest of the compared OMol25 structures with the same formula, charge and spin   3.498 eV
SMILES   O=c1nnccnn1
LUMO   -1.30 eV
Largest force on an atom   0.125 Eh/bohr

Atoms and positions in Å:
C -0.746350 -0.243227 -1.187064
C -0.191234 0.209557 1.163994
C 0.999533 -0.198882 0.610354
H -0.435165 0.130078 2.241926
H 1.985917 -0.732654 1.059321
N -1.368046 0.853447 -0.668961
N -0.979484 1.122150 0.483014
N 1.404247 0.163518 -0.739356
N 0.634190 0.052412 -1.813797
O -1.303607 -1.356399 -1.149431

Forces on atoms 1 to 2 (eV/Å):
-1.26 -5.83 -2.33
2.65 -0.07 0.75

---

Entry 3:
Below is a structure of composition C59H54Br2F5Ge2NOPdS4, with properties calculated with wB97M-V/def2-TZVPD.

Results
Kohn-Sham gap (alpha / beta)   5.7 / 6.3 eV
Highest occupied orbital energy (alpha / beta)   -1.959 / -2.611 eV
Molar mass   1427.793 Da
Energy above the lowest of the compared OMol25 structures with the same formula, charge and spin   0.000 eV
Total charge   -2
2S+1   3
LUMO (alpha / beta)   3.70 / 3.70 eV
⟨S²⟩   2.01
Largest force on an atom   0.009 Eh/bohr

Atoms and positions in Å:
Pd 0.231921 0.101166 0.345602
C 3.057293 0.829258 5.673842
C 4.009978 0.813223 4.509948
C 4.714874 1.952856 4.143555
C 5.487688 1.990344 2.992148
C 6.205058 3.258971 2.609747
C 5.557938 0.851140 2.179362
C 4.941483 -0.337346 2.585075
C 5.085111 -1.632062 1.828958
C 4.164554 -0.328107 3.740271
C 6.290977 0.952990 0.878155
C 7.657927 0.694007 0.869520
C 8.394988 0.820688 -0.296878
C 7.753225 1.218210 -1.456890
C 6.381505 1.482094 -1.470647
C 5.626249 1.350518 -0.296310
Ge 3.654582 1.615698 -0.215024
S 2.616907 -0.252949 -0.279936
S 3.108005 3.027834 1.445545
Ge 1.592365 3.668184 -0.080018
S -0.252643 2.583770 0.076815
S 2.881397 3.035596 -1.808857
C 1.225124 5.626237 -0.010701
C 0.725348 6.249833 -1.165323
C 0.325728 7.581619 -1.147557
C 0.427232 8.332054 0.011178
C 0.937111 7.739177 1.152244
C 1.329701 6.398568 1.162603
C 1.875449 5.919828 2.475804
C 1.044822 5.326455 3.427894
C -0.397031 5.011099 3.141211
C 1.577967 4.998667 4.674257
C 2.894267 5.271066 5.002757
C 3.425216 4.971465 6.379681
C 3.706555 5.859586 4.038077
C 3.219859 6.179070 2.780158
C 4.141365 6.743382 1.732463
C 0.626444 5.507147 -2.459475
C -0.516733 4.784178 -2.794088
C -1.747415 4.771441 -1.925503
C -0.526407 4.051809 -3.981643
C 0.557673 4.038158 -4.839707
C 0.564902 3.180932 -6.076740
C 1.668632 4.810455 -4.511945
C 1.722899 5.541565 -3.337534
C 2.975716 6.299769 -2.986679
C 5.831761 1.887358 -2.804289
C 5.278031 0.931090 -3.655591
C 5.068146 -0.488670 -3.202855
C 4.903816 1.314397 -4.943409
C 5.077334 2.610828 -5.400100
C 4.746114 2.983527 -6.821329
C 5.598615 3.555390 -4.521422
C 5.972016 3.214268 -3.230207
C 6.480471 4.263636 -2.280036
H 3.242926 1.685008 6.326440
H 3.136666 -0.083131 6.268534

Work order
Set down only the lines further up with the word "is" in them, please.

Done
Below is a structure of composition C4H8N2O in a non-equilibrium geometry, with properties calculated with wB97M-V/def2-TZVPD.
Below is an isolated molecule of C3H2N4O in a non-equilibrium geometry, with properties calculated with wB97M-V/def2-TZVPD.
Below is a structure of composition C59H54Br2F5Ge2NOPdS4, with properties calculated with wB97M-V/def2-TZVPD.